Allocutions et interventions

Key address by Fidel Castro Ruz, President of the Republic of Cuba, at a mass rally in the "José Martí" Anti-imperialist Square, on November 27, 2001




It was through the American TV networks and press agencies that we first learned that 30 Cubans, 13 of them children, had perished in a human traffic operation on a fast boat registered in the United States, coming from that country and funded by people living there.

It was not the first time, since similar events have occurred a thousand times before as a sinister consequence of the murderous Cuban Adjustment Act.

Whenever something like this happens, the U.S. authorities fail to provide us with information on the names, places of residence, age, sex or any other data on the victims they identify through information offered by survivors or by other means. The Cuban authorities are thus forced to look for a needle in a hay stack, that is, going through lengthy and complicated procedures to find the relevant data to inform families, schools, health and social security centers and other institutions on the situation of people who suddenly vanished without previous notice.

It is through close contacts made easier by personal and family visits, to and from the United States authorized by our country, that unscrupulous merchants arrange costly and risky illegal journeys for groups of people from different towns who endanger the lives of many children by irresponsibly taking them along.

This time, our own authorities have already identified almost half of the 13 children mentioned in the press dispatches, who were taken from their classrooms and schools where they were studying, completely unaware of the horrible death they would encounter out in the sea where their remains could not even be found.

For many years we have been advising the U.S. Administrations that the Cuban Adjustment Act, in force since November 2, 1966, and the incentives to illegal migration are the cause of great hazards and take a high toll in human lives.

From day one of the revolutionary victory our country has never set obstacles to the legal emigration of Cuban citizens to the United States or to any other country. At the time of the triumph of the Revolution many people in Cuba, like in the rest of the Caribbean and Latin America, who endured poverty and underdevelopment, wanted to migrate to seek for better paid jobs and better living conditions than they could find in their countries subjected to centuries of exploitation and plundering. Until 1959, an extremely limited number of visas were issued to Cubans. After that, for obvious reasons, the gates were wide opened and that is how an important number of Cubans began settling in the United States.

The overwhelming majority of those made the necessary arrangements and traveled legally. Despite the increasing conflicts, on several occasions the two countries have signed agreements, which for over four decades have made possible the safe and orderly transportation of hundreds of thousands of Cubans to the United States without any loss of life of either children or adults.

Actually, thanks to the Revolution’s programs the Cuban emigrants are generally people with a high technical or professional training.

In compliance with the latest agreements signed on September 1994 and May 1995, a total of 132,586 Cubans had traveled to the United States until November 9, 2001, with the corresponding visas and through absolutely safe means.

The politicization of the migratory issue by the United States, particularly as it relates to Cuba, is at the source of this and many other similar tragedies. It is in their Interests Section that they choose the prospective travelers, demanding health and education certificates and personal life records, as well as other documents, which are often used to select highly trained professionals or people particularly relevant in their communities thus depriving our country of medical doctors, engineers, architects and other university graduates who have been educated here, absolutely free of charge. This way, the United States does not need to invest the tens and hundreds of thousands that it would take to train any of them over there while Cuba has been forced to set a number of restrictions as to the time of departure of people in some technical categories in order to avoid the damage caused to important services.

It is a tradition with Cuba to abide by the agreements it signs, but the same cannot be said of our counterpart. It is a known fact that due to pressures and issues associated with domestic politics, the United States repeatedly and systematically fails to meet its obligations --or meets them only half-way-- regarding the measures it should take with those who break the law to emigrate to that country or are intercepted at sea, or they reduce to a minimum the efforts made to accomplish that interception.

To make things worse, those who set foot on their coasts are automatically welcomed and not asked to meet any requirements. Individuals with tainted personal records, who would never receive a visa if they applied, then get the right to immediately start working and living in that country. Thus, the spirit and letter of the Migratory Agreements are breached and the assets and safety of Americans are placed in jeopardy.

Many of these rough individuals with the worst criminal records, who are admitted into the United States when they travel illegally, later show up as part of drug and human traffic networks.

The U.S. authorities possess information on those involved in human traffic. In the last four years we have seized in our country more than 110 of those smugglers who live in the United States. They travel by sea on fast boats to fetch their human cargo, but the U.S. authorities do not accept to receive them to take them to court since it is from there that they come, where they live, where they have their boats, and it is also from there that they make the arrangements and get paid for their operations.

Our country makes great efforts to fight this grave international crime; in the United States they do nothing about it.

If it were all the way around, if American children were dying almost constantly due to human traffic on boats coming from Cuba, registered in Cuba, with crews made up by people living in Cuba, if this were the case, the American people would react with deep and legitimate indignation. Why, then, can this be done to Cuba?

Due to pressures by the Cuban terrorist Mafia in Miami, and the erratic behavior and arbitrary interpretations of U.S. officials and authorities, every year, every month, every week, almost every day during four decades, ever since that ill-fated and insane Cuban Adjustment Act was passed in 1966, that is, 35 years ago, it has never been restricted or abrogated but rather more and more privileges are granted to those who submit to it.

The latest of such privileges is travelling to American territory, on any airline, with false documents. They only need to identify themselves as Cubans upon arrival and they are accepted with impunity and granted the benefit of residence in the United States. How can anyone speak of protecting the security of the United States and then accept such violations and practices which break their own laws and foster chaos, anarchy and disorder? How can a battle be waged against organized crime, terrorism, drug and human traffic, and other forms of international crime?

Why is it that the Cuban children, whose infant mortality rate in the first year of life has been reduced to less than 7 per one thousand live-births --which is even lower than that of the United States-- must suffer that horrible death due to that Law? Why must the deep sea swallow the Cuban children, none of whom dies due to hurricanes or natural disasters that take the lives of thousands elsewhere for lack protection?

If the Cuban children –everyone of them-- receive prenatal care, are born in hospitals, are provided intensive postnatal care and free medical services all throughout their lives, are given vaccines for 13 preventable diseases and adequate nutrition, have access to day-care centers, kindergarten and grammar schools --even special education schools for those who might need it-- junior high schools from which almost one hundred percent graduate, senior-high and technical schools for those who apply and scores of universities and colleges; if the most prestigious international institutions concede that health services, education, physical and sports training accorded to our children rank among the best in the world, and are provided free of charge; if the highest share of the country’s net revenues and national budget are allocated to children’s programs; if it is for the children, teenagers and youth that over half a million of mostly highly trained workers labor strenuously; if the Cuban children end up among the first in international knowledge competitions; if the Cuban children are not familiar with drug-abuse and do not die in schools victims of firearms and violence; if it is for them that we are involved in an irrepressible movement towards a comprehensive general culture that is called to place our people among the best cultivated worldwide; then, why must they be devoured by sharks off the coasts of Florida?

Why is Cuba the only country on Earth whose children and people must expect such fate due to a law that fails to have any ethical justification, explanation or excuse?

Records of crystals, as found in the file:
********
1.
Material: RbTeRhO6
Method: DFT, PBE
State: optimized geometry

a b c (Å): 5.2792 5.2792 6.4437
angles (deg): 90.00 90.00 120.00
Space group P312 (No. 149)
Asymmetric unit:
1 Rb 0.0000 0.0000 0.0000 [1 per cell]
2 Te 0.6667 0.3333 0.5000 [1 per cell]
3 Rh 0.3333 0.6667 0.5000 [1 per cell]
4 O 0.3872 0.0018 0.6735 [6 per cell]

2.
Material: RbV2I8
Method: DFT, PBE
State: optimized geometry

a b c (Å): 15.9453 11.6559 7.5543
angles (deg): 90.00 107.03 90.00
Space group C2/m (No. 12)
Asymmetric unit:
1 Rb 0.0000 0.0000 0.0000 [2 per cell]
2 V 0.2096 0.0000 0.6957 [4 per cell]
3 I 0.1273 0.1791 0.7485 [8 per cell]
4 I 0.1379 0.5000 0.0767 [4 per cell]
5 I 0.2215 0.0000 0.3655 [4 per cell]

3.
Material: Mg3TiCr
Method: DFT, PBE
State: optimized geometry

a b c (Å): 5.2993 5.2993 5.2993
angles (deg): 90.00 90.00 90.00
Space group Pm-3m (No. 221)
Asymmetric unit:
1 Mg 0.0000 0.0000 0.5000 [3 per cell]
2 Ti 0.0000 0.0000 0.0000 [1 per cell]
3 Cr 0.5000 0.5000 0.5000 [1 per cell]

Properties
Distance to the lowest polymorph of the same formula, eV/atom: 0.3434

4.
Material: Ta2TiPd7
Method: DFT, PBE
State: optimized geometry

a b c (Å): 7.1516 13.4993 4.0871
angles (deg): 90.00 90.00 90.00
Space group Cmmm (No. 65)
Asymmetric unit:
1 Ta 0.0000 0.1947 0.0000 [4 per cell]
2 Ti 0.0000 0.5000 0.5000 [2 per cell]
3 Pd 0.0000 0.0000 0.0000 [2 per cell]
4 Pd 0.0000 0.2988 0.5000 [4 per cell]
5 Pd 0.1854 0.3969 0.0000 [8 per cell]

5.
Material: Hg2SbAu2
Method: DFT, PBE
State: optimized geometry

a b c (Å): 3.8876 3.8876 15.7674
angles (deg): 90.00 90.00 90.00
Space group I4/mmm (No. 139)
Asymmetric unit:
1 Hg 0.0000 0.0000 0.1056 [4 per cell]
2 Sb 0.0000 0.0000 0.5000 [2 per cell]
3 Au 0.0000 0.5000 0.2500 [4 per cell]

Properties
Distance to the lowest polymorph of the same formula, eV/atom: 0.1525

6.
Material: LaErLuZr
Method: DFT, PBE
State: optimized geometry

a b c (Å): 7.7776 7.7776 7.7776
angles (deg): 90.00 90.00 90.00
Space group F-43m (No. 216)
Asymmetric unit:
1 La 0.0000 0.0000 0.0000 [4 per cell]
2 Er 0.2500 0.2500 0.2500 [4 per cell]
3 Lu 0.2500 0.2500 0.7500 [4 per cell]
4 Zr 0.0000 0.0000 0.5000 [4 per cell]

Values for total energy, eV per atom, ordered as above
-5.58 -3.46 -3.12 -6.62 -2.09 -5.45
********

Whatever the number, be it thirteen, six or only one who dies in the dramatic wreckage of a fast boat during a human traffic operation with thirty or more Cubans on board, it is a discredit to the United States in the eyes of the world.

This is not the first or the only group victim of such a tragedy. An incalculable number of people have had a similar fate, but that has not led the U.S. authorities to fight the hateful and repugnant human traffic. We have offered our sincere cooperation in the struggle against drug traffic, human traffic and any other form of international crime. It is simply due to political arrogance that such cooperation has been either refused or limited to a minimum.

Cuba was the first country to voice its support for the American people after the atrocious crime of September 11, advancing the idea of building a universal awareness against terrorism and carrying forward an active international policy of struggle to efficiently and adequately end with the scourge of terrorism, which has caused so much damage to our country throughout more than 40 years.

Cuba was also the first country that, in response to an appeal by the United Nations’ Secretary General to all member states of that world organization, adhered to the twelve international agreements on terrorism.

Now, it is Cuba that is dealt a hard blow with the death of a number of children swallowed by the sea in the fatal wreckage of the early hours of November 17, the result of a repugnant human traffic operation with Cuban emigrants.

For the dead adults, some of them at fault for having for having been lured to the adventure that took their children’s lives, we feel grief and sorrow, and to their relatives we express our sympathy. For the innocent children dragged to such an unfair and unwarranted death, we are truly in mourning. These were creatures snatched from the Homeland that gives them all so much love and care.

We are not blaming the present government for a phenomenon that is the result of scores of years of aggression, hostility and crimes against Cuba, perpetrated by successive U.S. administrations throughout many years. However, we have every right to claim that an end be put to a barbarian and uncivilized policy.

Events like this affect the credibility and morale of the United States as well as its interests while it is involved in a complex and difficult struggle against terrorism in which, one way or another, the whole international community is involved after the tragic and painful events of September 11. No one would understand why that immoral and unfair law stands which cruelly and unjustifiably takes the lives of so many innocent Cuban children.

Millions of people from the Caribbean nations, from Mexico and from the rest of Latin America have every right to ask why they are persecuted and expelled when they travel to the United States illegally while the Cubans receive incentives to do the same thing and are later rewarded. The same question could also be asked by hundreds of millions of Asians, Africans and people from other regions of the world.

The extensive economic crisis and poverty will make the migratory pressures on the United States mount and for those determined to emigrate the Cuban Adjustment Act will become a major irrefutable moral argument.

There will always be people everywhere willing to risk their lives to emigrate illegally, but there will never be any justification to encourage them to do it. That is a crime against humanity and an expression of hateful contempt for human life.

We would not propose an Adjustment Act for the rest of the countries, for it is a murderous law, but we would certainly propose to undertake the development of the Third World in order to prevent that the region’s exceeding population overwhelm the wealthy societies at the expense of the lives of those emigrants who will try to get there by every possible means.

We would propose justice for the world and some light for the blind politicians who are today the leaders of the most developed and rich nations on Earth.

The Cuban Adjustment Act is not only a murderous law but it is also a terrorist law, one that fosters the worst kind of terrorism since it deliberately and remorselessly kills innocent children.

Homeland or Death!

We shall overcome!

Version taquigrafica del Consejo de Estado